Exercise.
What is needed: transcribe the lines further down up to the one that holds "-0.788 5.451", that line included.

Material.
/*
No. 1
Entry from the OMol25 dataset: one molecule with the formula C3H5NO4 at a distorted geometry (ωB97M-V/def2-TZVPD).

The value obtained for the gap between HOMO and LUMO is 9.799 eV. The SMILES is O=C(O)/C(CO)=N/O. The value obtained for the total energy is -12868.439 eV. As for the total charge: 0. The calculation puts the largest force on an atom at 5.2 eV Å⁻¹. As for the energy above the lowest of the compared OMol25 structures with the same formula, charge and spin: 428.0 kJ/mol.

Structure (XYZ):
```
13
C3H5NO4, DFT ωB97M-V/def2-TZVPD
C -0.487 0.851 0.009
C 0.165 -0.636 -0.115
C 1.654 -0.536 -0.163
H -2.502 1.451 0.026
H -0.268 1.335 1.083
H 0.203 1.482 -0.568
H -2.082 -0.881 0.443
H 3.097 0.579 -0.043
N -0.510 -1.727 -0.215
O -1.887 0.690 -0.279
O -1.816 -1.820 -0.017
O 2.041 0.770 -0.116
O 2.392 -1.559 -0.045
```



No. 2
Entry from the OMol25 dataset: a 2-piece molecular cluster, C4H8O2 overall (ωB97M-V/def2-TZVPD).

The value obtained for the gap between HOMO and LUMO (alpha / beta) is 7.740 / 7.848 eV. The value obtained for the total energy is -8367.403 eV. As for the total charge: 0. The calculation puts the largest force on an atom at 0.5 eV Å⁻¹. As for the energy above the lowest of the compared OMol25 structures with the same formula, charge and spin: 567.2 kJ/mol.

Structure (XYZ):
```
14
C4H8O2, DFT ωB97M-V/def2-TZVPD
C -0.299 1.301 0.835
C -1.011 -0.974 -0.080
C 1.466 0.255 -0.210
C 0.645 -0.012 -1.274
O 1.001 0.905 0.849
O -0.480 -1.653 0.982
H -0.472 -1.060 1.742
H -0.564 1.753 1.784
H -0.661 1.797 -0.057
H -1.961 -0.477 0.067
H -1.016 -1.617 -0.951
H 2.422 -0.211 -0.026
H -0.092 0.690 -1.635
H 1.022 -0.696 -2.025
```



No. 3
Entry from the OMol25 dataset: a 2-piece molecular cluster, C20H26N2O5S overall at a distorted geometry (ωB97M-V/def2-TZVPD).

The value obtained for the gap between HOMO and LUMO is 7.611 eV. The SMILES is COC(=O)[C@H]1CCCN1C1=CCCCC1.Cc1ccc(S(=O)(=O)N=C=O)cc1. The value obtained for the total energy is -45213.088 eV. As for the total charge: 0. The calculation puts the largest force on an atom at 2.8 eV Å⁻¹. As for the energy above the lowest of the compared OMol25 structures with the same formula, charge and spin: 344.7 kJ/mol.

Structure (XYZ):
```
54
C20H26N2O5S, DFT ωB97M-V/def2-TZVPD
C -2.928 -4.835 -0.384
O -1.540 -4.640 -0.705
C -1.027 -3.465 -0.290
O -1.677 -2.619 0.296
C 0.440 -3.378 -0.666
C 0.698 -3.522 -2.178
C 1.789 -2.511 -2.514
C 2.120 -1.769 -1.215
N 1.032 -2.111 -0.296
C 1.228 -1.817 1.059
C 0.280 -1.165 1.802
C 0.273 -1.270 3.284
C 1.681 -1.393 3.861
C 2.416 -2.544 3.189
C 2.529 -2.330 1.682
H -3.141 -5.866 -0.665
H -3.108 -4.684 0.687
H -3.541 -4.142 -0.971
H 0.926 -4.224 -0.134
H 1.009 -4.555 -2.352
H -0.216 -3.331 -2.755
H 2.683 -3.012 -2.894
H 1.445 -1.799 -3.268
H 3.099 -2.120 -0.838
H 2.189 -0.680 -1.341
H -0.587 -0.751 1.290
H -0.265 -0.425 3.715
H -0.294 -2.170 3.573
H 2.231 -0.461 3.689
H 1.634 -1.560 4.941
H 3.419 -2.663 3.609
H 1.876 -3.481 3.367
H 2.840 -3.274 1.204
H 3.334 -1.601 1.471
C -0.365 5.779 -4.075
C -0.788 5.451 -2.673
C 0.124 5.607 -1.624
C -0.200 5.192 -0.336
C -1.431 4.580 -0.115
S -1.752 3.821 1.465
N -1.023 2.081 1.258
C -1.470 1.289 2.082
O -1.985 0.639 2.932
O -0.946 4.471 2.458
O -3.170 3.662 1.606
C -2.412 4.563 -1.106
C -2.076 4.984 -2.391
H -1.183 5.598 -4.777
H -0.055 6.827 -4.157
H 0.491 5.164 -4.381
H 1.107 6.033 -1.827
H 0.502 5.306 0.484
H -3.407 4.196 -0.878
H -2.810 4.924 -3.196
```



No. 4
Entry from the OMol25 dataset: C25H37BCaN6OSi as an isolated structure at a distorted geometry (ωB97M-V/def2-TZVPD).

The value obtained for the gap between HOMO and LUMO is 3.308 eV. The value obtained for the total energy is -64505.416 eV. As for the total charge: -2. The calculation puts the largest force on an atom at 5.0 eV Å⁻¹. As for the energy above the lowest of the compared OMol25 structures with the same formula, charge and spin: 292.0 kJ/mol.

Structure (XYZ):
```
72
C25H37BCaN6OSi, DFT ωB97M-V/def2-TZVPD
*/

Result.
No. 1
Entry from the OMol25 dataset: one molecule with the formula C3H5NO4 at a distorted geometry (ωB97M-V/def2-TZVPD).

The value obtained for the gap between HOMO and LUMO is 9.799 eV. The SMILES is O=C(O)/C(CO)=N/O. The value obtained for the total energy is -12868.439 eV. As for the total charge: 0. The calculation puts the largest force on an atom at 5.2 eV Å⁻¹. As for the energy above the lowest of the compared OMol25 structures with the same formula, charge and spin: 428.0 kJ/mol.

Structure (XYZ):
```
13
C3H5NO4, DFT ωB97M-V/def2-TZVPD
C -0.487 0.851 0.009
C 0.165 -0.636 -0.115
C 1.654 -0.536 -0.163
H -2.502 1.451 0.026
H -0.268 1.335 1.083
H 0.203 1.482 -0.568
H -2.082 -0.881 0.443
H 3.097 0.579 -0.043
N -0.510 -1.727 -0.215
O -1.887 0.690 -0.279
O -1.816 -1.820 -0.017
O 2.041 0.770 -0.116
O 2.392 -1.559 -0.045
```



No. 2
Entry from the OMol25 dataset: a 2-piece molecular cluster, C4H8O2 overall (ωB97M-V/def2-TZVPD).

The value obtained for the gap between HOMO and LUMO (alpha / beta) is 7.740 / 7.848 eV. The value obtained for the total energy is -8367.403 eV. As for the total charge: 0. The calculation puts the largest force on an atom at 0.5 eV Å⁻¹. As for the energy above the lowest of the compared OMol25 structures with the same formula, charge and spin: 567.2 kJ/mol.

Structure (XYZ):
```
14
C4H8O2, DFT ωB97M-V/def2-TZVPD
C -0.299 1.301 0.835
C -1.011 -0.974 -0.080
C 1.466 0.255 -0.210
C 0.645 -0.012 -1.274
O 1.001 0.905 0.849
O -0.480 -1.653 0.982
H -0.472 -1.060 1.742
H -0.564 1.753 1.784
H -0.661 1.797 -0.057
H -1.961 -0.477 0.067
H -1.016 -1.617 -0.951
H 2.422 -0.211 -0.026
H -0.092 0.690 -1.635
H 1.022 -0.696 -2.025
```



No. 3
Entry from the OMol25 dataset: a 2-piece molecular cluster, C20H26N2O5S overall at a distorted geometry (ωB97M-V/def2-TZVPD).

The value obtained for the gap between HOMO and LUMO is 7.611 eV. The SMILES is COC(=O)[C@H]1CCCN1C1=CCCCC1.Cc1ccc(S(=O)(=O)N=C=O)cc1. The value obtained for the total energy is -45213.088 eV. As for the total charge: 0. The calculation puts the largest force on an atom at 2.8 eV Å⁻¹. As for the energy above the lowest of the compared OMol25 structures with the same formula, charge and spin: 344.7 kJ/mol.

Structure (XYZ):
```
54
C20H26N2O5S, DFT ωB97M-V/def2-TZVPD
C -2.928 -4.835 -0.384
O -1.540 -4.640 -0.705
C -1.027 -3.465 -0.290
O -1.677 -2.619 0.296
C 0.440 -3.378 -0.666
C 0.698 -3.522 -2.178
C 1.789 -2.511 -2.514
C 2.120 -1.769 -1.215
N 1.032 -2.111 -0.296
C 1.228 -1.817 1.059
C 0.280 -1.165 1.802
C 0.273 -1.270 3.284
C 1.681 -1.393 3.861
C 2.416 -2.544 3.189
C 2.529 -2.330 1.682
H -3.141 -5.866 -0.665
H -3.108 -4.684 0.687
H -3.541 -4.142 -0.971
H 0.926 -4.224 -0.134
H 1.009 -4.555 -2.352
H -0.216 -3.331 -2.755
H 2.683 -3.012 -2.894
H 1.445 -1.799 -3.268
H 3.099 -2.120 -0.838
H 2.189 -0.680 -1.341
H -0.587 -0.751 1.290
H -0.265 -0.425 3.715
H -0.294 -2.170 3.573
H 2.231 -0.461 3.689
H 1.634 -1.560 4.941
H 3.419 -2.663 3.609
H 1.876 -3.481 3.367
H 2.840 -3.274 1.204
H 3.334 -1.601 1.471
C -0.365 5.779 -4.075
C -0.788 5.451 -2.673